Could you count the lines further below that contain the word "species" and give the number alone?

┌──
[1]
Below is an isolated molecule of C2H8N2O3S at a distorted geometry, with properties calculated with wB97M-V/def2-TZVPD.

Maximum force ... 4.7 eV/A
DFT total energy ... -814.28050 Eh
Total charge ... 0
SMILES ... CON(C)S(N)(=O)=O

Geometry (Å):
1 C -1.712 0.426 -1.124
2 O -0.622 0.543 -0.196
3 N -0.170 -0.648 0.392
4 C -0.730 -0.815 1.754
5 S 1.762 -0.096 0.268
6 N 1.648 0.605 -1.239
7 O 2.562 -1.269 0.093
8 O 1.885 0.851 1.300
9 H -1.895 -0.583 -1.492
10 H -1.337 1.071 -1.984
11 H -2.606 0.618 -0.679
12 H -0.159 -1.588 2.215
13 H -0.622 0.117 2.252
14 H -1.707 -1.230 1.590
15 H 1.227 1.504 -1.374
16 H 2.476 0.492 -1.776

[2]
Below is a cluster of 8 separate species, C47H88Br2IN10OP4S2 in total at a distorted geometry, with properties calculated with wB97M-V/def2-TZVPD.

Maximum force ... 3.0 eV/A
DFT total energy ... -10073.43631 Eh
Total charge ... +1

Geometry (Å):
1 C -3.038 7.697 -0.983
2 C -3.069 6.626 -0.457
3 C -2.989 5.315 0.180
4 C -1.720 4.541 -0.231
5 C -0.768 3.875 0.886
6 P 0.336 5.308 1.432
7 S -0.463 7.052 1.635
8 P -1.594 3.259 2.523
9 O -3.172 3.379 2.113
10 Br -1.476 4.852 4.093
11 C -0.009 2.690 0.109
12 C 1.511 2.793 0.390
13 C 2.468 1.733 -0.190
14 C 3.589 1.357 0.810
15 I 5.517 1.299 -0.100
16 C -0.289 1.229 0.608
17 Br -2.135 0.600 0.716
18 C 0.428 0.871 1.942
19 C -0.194 -0.199 2.823
20 N -0.360 2.976 -1.367
21 S 0.827 4.102 -2.195
22 P 0.048 1.639 -2.580
23 N -0.745 0.309 -2.490
24 C -1.770 3.698 -1.537
25 C -1.893 4.809 -2.646
26 C -1.807 4.479 -4.133
27 C -1.764 5.839 -4.893
28 C -0.394 6.476 -4.936
29 N 0.504 5.709 -5.823
30 P -3.264 2.641 -1.818
31 C -4.596 2.495 -0.605
32 C -3.396 1.626 -3.313
33 H -2.904 8.723 -1.210
34 H -2.938 5.509 1.245
35 H -3.925 4.798 0.005
36 H -1.086 5.383 -0.507
37 H 1.023 4.793 2.546
38 H 1.363 5.472 0.486
39 H -3.676 3.180 2.916
40 H 1.675 2.910 1.451
41 H 1.917 3.716 -0.002
42 H 2.011 0.799 -0.504
43 H 2.973 2.127 -1.065
44 H 3.421 0.345 1.152
45 H 3.590 1.980 1.695
46 H 0.117 0.521 -0.100
47 H 0.623 1.718 2.587
48 H 1.398 0.469 1.671
49 H -1.031 0.160 3.409
50 H 0.589 -0.455 3.533
51 H -0.406 -1.116 2.291
52 H 0.996 5.153 -1.372
53 H -0.130 2.245 -3.837
54 H 1.433 1.428 -2.529
55 H -1.444 0.327 -1.748
56 H -1.301 5.702 -2.469
57 H -2.909 5.151 -2.512
58 H -0.887 3.981 -4.422
59 H -2.684 3.977 -4.521
60 H -2.486 6.501 -4.415
61 H -2.144 5.667 -5.894
62 H -0.514 7.459 -5.381
63 H 0.009 6.620 -3.931
64 H 0.908 4.939 -5.305
65 H 1.271 6.311 -6.092
66 H -5.371 3.234 -0.788
67 H -4.305 2.573 0.431
68 H -5.074 1.523 -0.727
69 H -3.420 0.559 -3.117
70 H -4.274 1.884 -3.897
71 H -2.537 1.802 -3.948
72 C -1.071 -5.122 -0.220
73 C -1.659 -3.901 -0.919
74 C -0.581 -2.971 -1.493
75 C 0.293 -2.472 -0.433
76 N 0.984 -2.115 0.411
77 H -0.463 -4.833 0.639
78 H -1.856 -5.776 0.154
79 H -0.448 -5.702 -0.902
80 H -2.283 -3.344 -0.216
81 H -2.308 -4.224 -1.734
82 H -1.028 -2.117 -1.997
83 H 0.033 -3.503 -2.221
84 C 3.377 -5.282 3.714
85 C 3.002 -4.546 2.432
86 C 3.643 -3.157 2.332
87 C 3.213 -2.298 3.437
88 N 2.840 -1.646 4.303
89 H 3.024 -4.748 4.598
90 H 2.925 -6.273 3.729
91 H 4.458 -5.403 3.798
92 H 1.917 -4.446 2.371
93 H 3.318 -5.135 1.570
94 H 3.358 -2.677 1.395
95 H 4.732 -3.235 2.358
96 C -3.975 -10.018 -1.108
97 C -4.805 -9.426 0.021
98 C -4.275 -8.064 0.485
99 C -2.908 -8.180 0.996
100 N -1.844 -8.290 1.404
101 H -2.948 -10.212 -0.792
102 H -4.399 -10.967 -1.438
103 H -3.953 -9.345 -1.962
104 H -4.825 -10.116 0.867
105 H -5.835 -9.301 -0.316
106 H -4.903 -7.658 1.278
107 H -4.279 -7.357 -0.347
108 C 10.120 -1.051 0.491
109 C 8.675 -1.435 0.788
110 C 8.352 -1.437 2.286
111 C 9.184 -2.403 3.004
112 N 9.835 -3.172 3.548
113 H 10.819 -1.767 0.924
114 H 10.297 -1.031 -0.584
115 H 10.354 -0.062 0.890
116 H 8.470 -2.422 0.369
117 H 8.001 -0.733 0.294
118 H 7.306 -1.699 2.451
119 H 8.521 -0.448 2.715
120 C 12.212 -4.744 6.325
121 C 11.429 -3.749 7.171
122 C 12.297 -3.037 8.215
123 C 12.888 -3.992 9.154
124 N 13.338 -4.749 9.887
125 H 12.629 -5.548 6.933
└──

1